This record from the OMol25 dataset describes a 2-piece molecular cluster, C18H24O3 overall. The level of theory is ωB97M-V/def2-TZVPD.

CARTESIAN COORDINATES (ANGSTROEM)
H: -1.29 2.95 -1.47
H: -3.26 -0.79 3.11
H: -0.49 -1.75 0.58
C: -2.06 1.24 1.14
C: 0.70 0.20 -1.78
H: 3.98 -1.87 -2.37
C: -1.13 -1.12 1.22
C: 1.98 0.77 -1.54
H: 0.10 2.72 -0.41
H: 4.11 0.49 -1.54
H: 0.34 2.84 -2.17
C: 3.07 -1.29 -2.22
O: -1.98 2.46 1.06
H: -4.09 0.79 0.66
C: 0.38 0.81 1.25
C: -1.79 0.52 -2.08
H: -1.84 0.76 -3.16
H: 1.75 -2.87 -2.89
O: 0.76 1.97 1.37
C: 3.14 0.03 -1.77
H: 4.52 -0.67 1.92
H: 3.21 -1.64 2.62
O: 1.25 -0.21 1.45
H: -2.55 -2.66 1.68
C: 3.47 -0.99 1.79
C: 2.59 0.23 1.76
C: -2.58 -1.66 1.23
C: -0.32 2.45 -1.38
H: -1.96 -0.56 -1.98
C: 1.82 -1.85 -2.52
C: -3.45 0.67 1.55
H: 2.59 0.75 2.73
H: 2.06 1.81 -1.24
H: -0.31 -1.54 -2.62
H: 3.40 -1.56 0.86
C: -0.48 0.98 -1.55
H: -2.61 1.06 -1.59
H: -2.95 -1.77 0.20
C: -3.51 -0.76 2.04
C: -0.96 0.30 0.85
C: 0.65 -1.12 -2.31
H: -0.76 -1.27 2.26
H: -4.53 -1.14 1.96
H: -3.88 1.34 2.31
H: 2.92 0.94 0.99

The value obtained for the maximum force is 2.1 eV/Å. Its energy above the lowest of the compared OMol25 structures with the same formula, charge and spin is 66.5 kJ/mol. The value obtained for the total energy is -925.95075 a.u. The total charge is 0. As for the gap between HOMO and LUMO: 0.2472 hartree. As for the spin multiplicity: 1. For the HOMO energy, the calculation gives -7.7995 eV.

Löwdin population analysis, charges in e, atoms 1 to 2: H 0.092; H 0.116

***

This record from the OMol25 dataset describes C18H25AlBr39F3OP as an isolated structure. The level of theory is ωB97M-V/def2-TZVPD.

CARTESIAN COORDINATES (ANGSTROEM)
H: -6.15 0.40 -3.55
Br: 0.70 1.50 14.10
H: -8.55 1.47 -4.79
Br: 0.66 1.32 9.69
Br: 8.32 -4.12 1.15
H: -4.88 3.25 -7.27
Br: -6.48 -0.17 1.07
Br: 8.49 -0.53 7.44
H: 2.70 0.92 0.09
F: -0.11 5.26 -5.52
C: 6.90 -2.83 1.27
Br: -4.69 1.29 -1.11
F: -0.44 3.09 -5.19
H: -7.99 2.12 -6.30
C: -5.58 0.98 -4.27
Br: 5.52 -4.04 -1.94
Br: -1.85 -1.92 0.37
H: -3.04 3.07 4.90
Br: 7.00 3.44 7.38
H: -5.48 5.46 -5.89
Br: -1.48 -5.62 -8.99
H: -3.41 4.41 -3.86
Br: 9.49 -3.17 5.95
Br: 8.25 5.45 5.23
Br: -1.73 -0.45 13.38
Br: 5.04 1.57 0.57
Br: 7.33 -1.40 2.48
C: 8.28 3.66 5.94
Br: 1.22 -1.62 13.69
C: 3.55 0.36 0.46
H: 9.26 3.50 6.36
Br: -2.77 -6.03 -3.54
Br: 3.88 -1.08 -0.79
C: 4.67 -4.03 -3.67
Br: 2.09 0.83 -1.44
Br: -2.47 -5.00 0.00
C: -8.10 2.35 -5.24
C: -0.95 4.33 -5.01
Br: -2.55 -2.68 -8.36
Br: -3.50 -3.48 2.61
Br: 0.88 2.39 1.05
Br: 8.02 2.34 4.57
H: -1.03 -4.97 -4.95
H: -4.91 0.69 -6.32
C: -5.55 0.20 -5.60
Br: 0.28 -6.83 -3.98
C: -2.12 -3.60 1.27
C: -3.23 3.89 -4.80
C: 8.05 -1.91 6.15
C: 0.09 1.05 7.86
H: -0.34 -3.44 -9.18
C: -1.00 -5.39 -3.95
O: -2.15 4.50 -5.56
H: -1.20 -3.83 1.77
F: -0.93 4.53 -3.64
H: 5.00 -3.14 -4.17
H: 0.33 0.07 12.12
C: -1.01 -3.83 -8.44
C: -4.99 -0.35 -0.15
Br: 5.22 -3.65 1.74
H: -8.73 3.22 -5.11
P: -6.46 2.64 -4.40
C: 1.80 2.56 -0.64
H: -4.11 -0.54 0.44
H: 7.92 -1.42 5.20
Br: -0.46 -3.96 -2.78
Br: 3.07 -0.34 2.19
Br: 5.22 -5.53 -4.75
H: 6.77 -2.39 0.29
Br: 0.56 -0.70 7.22
H: -3.01 2.85 -4.56
H: 1.16 3.12 -1.31
Br: 6.39 -2.78 6.57
Br: -2.56 4.82 3.21
Br: -5.21 -1.84 -1.35
Al: -5.03 3.92 -5.81
Br: 2.76 -3.92 -3.49
C: -2.63 3.02 3.90
Br: -0.88 2.24 4.08
Br: -3.80 1.91 2.86
Br: 3.45 3.55 -0.46
Br: -0.05 -3.84 -6.76
H: -4.58 1.18 -3.93
H: -6.56 0.18 -6.00
Br: -1.79 1.40 7.65
C: 0.16 -0.10 13.17
H: -5.19 -0.81 -5.42
H: 0.62 1.77 7.26

The value obtained for the maximum force is 8.4 eV/Å. The value obtained for the total energy is -102045.79489 a.u. The total charge is -1. As for the gap between HOMO and LUMO: 0.1658 hartree. As for the spin multiplicity: 1. For the HOMO energy, the calculation gives -3.8237 eV.

Löwdin population analysis, charges in e, atoms 1 to 2: H 0.006; Br 0.559

***

This record from the OMol25 dataset describes C18H25BN8O3Ti as an isolated structure. The level of theory is ωB97M-V/def2-TZVPD.

CARTESIAN COORDINATES (ANGSTROEM)

What is needed: copy the listing earlier on from the first line to the one with "Br: -6.48" character by character.

This record from the OMol25 dataset describes a 2-piece molecular cluster, C18H24O3 overall. The level of theory is ωB97M-V/def2-TZVPD.

CARTESIAN COORDINATES (ANGSTROEM)
H: -1.29 2.95 -1.47
H: -3.26 -0.79 3.11
H: -0.49 -1.75 0.58
C: -2.06 1.24 1.14
C: 0.70 0.20 -1.78
H: 3.98 -1.87 -2.37
C: -1.13 -1.12 1.22
C: 1.98 0.77 -1.54
H: 0.10 2.72 -0.41
H: 4.11 0.49 -1.54
H: 0.34 2.84 -2.17
C: 3.07 -1.29 -2.22
O: -1.98 2.46 1.06
H: -4.09 0.79 0.66
C: 0.38 0.81 1.25
C: -1.79 0.52 -2.08
H: -1.84 0.76 -3.16
H: 1.75 -2.87 -2.89
O: 0.76 1.97 1.37
C: 3.14 0.03 -1.77
H: 4.52 -0.67 1.92
H: 3.21 -1.64 2.62
O: 1.25 -0.21 1.45
H: -2.55 -2.66 1.68
C: 3.47 -0.99 1.79
C: 2.59 0.23 1.76
C: -2.58 -1.66 1.23
C: -0.32 2.45 -1.38
H: -1.96 -0.56 -1.98
C: 1.82 -1.85 -2.52
C: -3.45 0.67 1.55
H: 2.59 0.75 2.73
H: 2.06 1.81 -1.24
H: -0.31 -1.54 -2.62
H: 3.40 -1.56 0.86
C: -0.48 0.98 -1.55
H: -2.61 1.06 -1.59
H: -2.95 -1.77 0.20
C: -3.51 -0.76 2.04
C: -0.96 0.30 0.85
C: 0.65 -1.12 -2.31
H: -0.76 -1.27 2.26
H: -4.53 -1.14 1.96
H: -3.88 1.34 2.31
H: 2.92 0.94 0.99

The value obtained for the maximum force is 2.1 eV/Å. Its energy above the lowest of the compared OMol25 structures with the same formula, charge and spin is 66.5 kJ/mol. The value obtained for the total energy is -925.95075 a.u. The total charge is 0. As for the gap between HOMO and LUMO: 0.2472 hartree. As for the spin multiplicity: 1. For the HOMO energy, the calculation gives -7.7995 eV.

Löwdin population analysis, charges in e, atoms 1 to 2: H 0.092; H 0.116

***

This record from the OMol25 dataset describes C18H25AlBr39F3OP as an isolated structure. The level of theory is ωB97M-V/def2-TZVPD.

CARTESIAN COORDINATES (ANGSTROEM)
H: -6.15 0.40 -3.55
Br: 0.70 1.50 14.10
H: -8.55 1.47 -4.79
Br: 0.66 1.32 9.69
Br: 8.32 -4.12 1.15
H: -4.88 3.25 -7.27
Br: -6.48 -0.17 1.07